********
Entry 1:
Material: Li2RuPb
Method: DFT, GGA-PBE
State: optimized geometry

a = 10.1696 Å, b = 10.1696 Å, c = 10.1696 Å
α = 158.00°, β = 158.00°, γ = 31.31°
Element x y z (fractional)
Li 0.0934 0.6250 0.9684
Li 0.3750 0.3434 0.4684
Li 0.6566 0.1250 0.0316
Li 0.8750 0.9066 0.5316
Ru 0.0000 0.0000 0.0000
Ru 0.7500 0.2500 0.5000
Pb 0.2500 0.7500 0.5000
Pb 0.5000 0.5000 0.0000

Entry 2:
Material: LiRuPb4
Method: DFT, GGA-PBE
State: optimized geometry

a = 6.2882 Å, b = 6.2882 Å, c = 6.2882 Å
α = 60.00°, β = 60.00°, γ = 60.00°
Element x y z (fractional)
Li 0.0000 0.0000 0.0000
Ru 0.2500 0.2500 0.2500
Pb 0.1264 0.6245 0.6245
Pb 0.6245 0.1264 0.6245
Pb 0.6245 0.6245 0.1264
Pb 0.6245 0.6245 0.6245

Entry 3:
Material: LiRu2Pb
Method: DFT, GGA-PBE
State: optimized geometry

a = 4.4924 Å, b = 4.4924 Å, c = 4.4924 Å
α = 120.15°, β = 120.15°, γ = 89.75°
Element x y z (fractional)
Li 0.0000 0.0000 0.0000
Ru 0.5000 0.5000 0.0000
Ru 0.7500 0.2500 0.5000
Pb 0.2500 0.7500 0.5000

Entry 4:
Material: Li2RuPb2
Method: DFT, GGA-PBE
State: optimized geometry

a = 7.3301 Å, b = 7.3301 Å, c = 3.6211 Å
α = 90.00°, β = 90.00°, γ = 90.00°
Element x y z (fractional)
Li 0.1500 0.3500 0.0000
Li 0.3500 0.8500 0.0000
Li 0.6500 0.1500 0.0000
Li 0.8500 0.6500 0.0000
Ru 0.0000 0.0000 0.5000
Ru 0.5000 0.5000 0.5000
Pb 0.1571 0.6571 0.5000
Pb 0.3429 0.1571 0.5000
Pb 0.6571 0.8429 0.5000
Pb 0.8429 0.3429 0.5000

Entry 5:
Material: LiRu3Pb
Method: DFT, GGA-PBE
State: optimized geometry

a = 4.2644 Å, b = 4.2644 Å, c = 4.2644 Å
α = 90.00°, β = 90.00°, γ = 90.00°
Element x y z (fractional)
Li 0.0000 0.0000 0.0000
Ru 0.0000 0.0000 0.5000
Ru 0.0000 0.5000 0.0000
Ru 0.5000 0.0000 0.0000
Pb 0.5000 0.5000 0.5000

Output
Energy above the most stable polymorph in this dataset (meV per atom): 0

Entry 6:
Material: LiRu2Pb
Method: DFT, GGA-PBE
State: optimized geometry

a = 8.5411 Å, b = 8.5411 Å, c = 8.5411 Å
α = 20.66°, β = 20.66°, γ = 20.66°
Element x y z (fractional)
Li 0.0000 0.0000 0.0000
Ru 0.2517 0.2517 0.2517
Ru 0.7483 0.7483 0.7483
Pb 0.5000 0.5000 0.5000

Entry 7:
Material: Li2RuPb
Method: DFT, GGA-PBE
State: optimized geometry

a = 9.4849 Å, b = 9.4849 Å, c = 9.4849 Å
α = 18.39°, β = 18.39°, γ = 18.39°
Element x y z (fractional)
Li 0.2392 0.2392 0.2392
Li 0.7608 0.7608 0.7608
Ru 0.5000 0.5000 0.5000
Pb 0.0000 0.0000 0.0000

Entry 8:
Material: Li2RuPb
Method: DFT, GGA-PBE
State: optimized geometry

a = 3.1141 Å, b = 4.7280 Å, c = 4.7096 Å
α = 90.00°, β = 94.15°, γ = 90.00°
Element x y z (fractional)
Li 0.2403 0.0000 0.2832
Li 0.7597 0.0000 0.7168
Ru 0.0000 0.5000 0.5000
Pb 0.5000 0.5000 0.0000

| no. | formation energy from the elements (eV/atom) | DFT total energy (eV per atom) |
| --- | --- | --- |
| 1 | 0.273 | -3.93 |
| 2 | 0.708 | -3.63 |
| 3 | 0.268 | -5.78 |
| 4 | 0.143 | -3.96 |
| 5 | 1.012 | -5.68 |
| 6 | 0.694 | -5.35 |
| 7 | 0.320 | -3.88 |
| 8 | 0.134 | -4.07 |

* * * * *

A plane-wave DFT calculation with GGA-PBE was carried out for a geometry-optimized Zr3Ag2Hg structure.

```
data_Zr3Ag2Hg
_chemical_formula_sum 'Zr6 Ag4 Hg2'
_cell_length_a 7.709
_cell_length_b 7.709
_cell_length_c 4.714
_cell_angle_alpha 90.00
_cell_angle_beta 90.00
_cell_angle_gamma 72.71
_symmetry_space_group_name_H-M 'P 1'
_symmetry_Int_Tables_number 1
_symmetry_space_group_name_Hall 'P 1'
loop_
_atom_site_label
_atom_site_fract_x
_atom_site_fract_y
_atom_site_fract_z
_atom_site_occupancy
Zr1 0.087 0.913 0.750 1
Zr2 0.108 0.356 0.250 1
Zr3 0.356 0.108 0.750 1
Zr4 0.644 0.892 0.250 1
Zr5 0.892 0.644 0.750 1
Zr6 0.913 0.087 0.250 1
Ag1 0.283 0.492 0.750 1
Ag2 0.492 0.283 0.250 1
Ag3 0.508 0.717 0.750 1
Ag4 0.717 0.508 0.250 1
Hg1 0.270 0.730 0.250 1
Hg2 0.730 0.270 0.750 1
```

Results
Crystal system: orthorhombic
Formation enthalpy at 0 K, eV/atom: 0.313
Total magnetic moment, μB per formula unit: 0.00

* * * * *

Entry from the Alexandria database: a relaxed structure of AsH3I (PBE-GGA).

Calculated values
* calculated total energy: -2.5974 eV/atom
* crystal system: cubic
********

What is needed: search the material further up for the word "magnetic" and restate each line that has it.

Total magnetic moment, μB per formula unit: 0.00